Can’t Connect to HA Supervisor to Set Up New HA Green Rev 1.1

Hi folks. I just bought a Home Assistant Green and can’t connect to the device either through a desktop browser or the HA Android app to set it up – although the device is clearly visible and has a stable IP address on my network. I’ve searched the forum and, while I can find solutions for RPi home-brews that typically involve re-installing the OS or replacing a faulty SD card, I can’t seem to find a solution for the HA Green.

The device is a brand new HA Green Rev 1.1. When powered up, it gives me a stable white power LED, a “heartbeat” yellow LED and a flickering green LED which is clearly tied to activity. I’m connecting via Ethernet to either my Netgear C7000v2 cable modem/router or my Netgear RBR50 Orbi mesh router base station. I’m connecting my Windows 7 desktop via Ethernet to either the cable modem/router or the mesh router base station, following where the HA Green is connected. I’m using the HA Android app on a stock, unrooted Google Pixel 4a running Android 13.

Since I’m pretty sure that neither of my routers support mDNS, I’m not attempting to connect to the HA Green using any variation of “homeassistant.local”. Instead, I’m trying to connect to [IP address]:8123. Regardless of which browser I use (Chrome, Edge, Vivaldi or Opera), I get a “connection refused” error message. And I’m careful to make sure that the browser doesn’t automatically convert “http” to “https”.

What’s odd is that I can successfully ping the HA green’s IP address and that I can successfully connect to HA Observer on the device (at [IP address]:4357), which returns a status report of “Supervisor: Connected / Supported: Supported / Healthy: Healthy”.

I’ve read that it can take some time for the HA OS to initialize and retrieve updated files when connected for the first time, but the device has been connected for over 24 hours now.

I’m sure I’m missing something obvious, but I’ve hit a brick wall, so thanks in advance for some wisdom from the community!

Attached: data records:
=====
--- 1 ---
! Ac2EuEr, optimized geometry, DFT PBE; values from VASP
! DOS at the Fermi energy   1.374 states/eV/atom
&SYSTEM
  ibrav = 0, nat = 4, ntyp = 3
/
ATOMIC_SPECIES
Eu 151.96 Eu.upf
Ac 227.00 Ac.upf
Er 167.26 Er.upf
CELL_PARAMETERS angstrom
6.0977 0.0000 0.0000
3.0488 5.2807 0.0000
3.0488 1.7602 4.9787
ATOMIC_POSITIONS crystal
Eu 0.0000 0.0000 0.0000
Ac 0.2500 0.2500 0.2500
Ac 0.7500 0.7500 0.7500
Er 0.5000 0.5000 0.5000

--- 2 ---
! Ac2EuEr, optimized geometry, DFT PBE; values from VASP
! DOS at the Fermi energy   1.694 states/eV/atom
&SYSTEM
  ibrav = 0, nat = 4, ntyp = 3
/
ATOMIC_SPECIES
Eu 151.96 Eu.upf
Ac 227.00 Ac.upf
Er 167.26 Er.upf
CELL_PARAMETERS angstrom
5.1745 0.0000 0.0000
0.0000 5.5460 0.0000
0.0000 0.0000 5.5460
ATOMIC_POSITIONS crystal
Eu 0.5000 0.5000 0.5000
Ac 0.0000 0.0000 0.5000
Ac 0.0000 0.5000 0.0000
Er 0.5000 0.0000 0.0000

--- 3 ---
! Ac2EuEr, optimized geometry, DFT PBE; values from VASP
! DOS at the Fermi energy   1.358 states/eV/atom
&SYSTEM
  ibrav = 0, nat = 4, ntyp = 3
/
ATOMIC_SPECIES
Eu 151.96 Eu.upf
Ac 227.00 Ac.upf
Er 167.26 Er.upf
CELL_PARAMETERS angstrom
3.9171 0.0000 0.0000
0.0000 3.9171 0.0000
0.0000 0.0000 10.5132
ATOMIC_POSITIONS crystal
Eu 0.5000 0.5000 0.5000
Ac 0.0000 0.0000 0.7662
Ac 0.0000 0.0000 0.2338
Er 0.5000 0.5000 0.0000

Energy ordering: 3 at the bottom, the next structure 3.6 kJ/mol of atoms above.

--- 1 ---
! AcEr2Ga6, optimized geometry, DFT PBE; values from VASP
! DOS at the Fermi energy   0.392 states/eV/atom
&SYSTEM
  ibrav = 0, nat = 9, ntyp = 3
/
ATOMIC_SPECIES
Ac 227.00 Ac.upf
Er 167.26 Er.upf
Ga 69.72 Ga.upf
CELL_PARAMETERS angstrom
4.4105 0.0000 0.0000
2.2052 7.3379 1.2295
2.2052 2.6537 6.9509
ATOMIC_POSITIONS crystal
Ac 0.0000 0.0000 0.0000
Er 0.8732 0.6268 0.6268
Er 0.1268 0.3732 0.3732
Ga 0.6875 0.0169 0.6081
Ga 0.3125 0.9831 0.3919
Ga 0.3125 0.3919 0.9831
Ga 0.5000 0.6716 0.3284
Ga 0.5000 0.3284 0.6716
Ga 0.6875 0.6081 0.0169

--- 2 ---
! AcEr2Ga6, optimized geometry, DFT PBE; values from VASP
! DOS at the Fermi energy   0.624 states/eV/atom
&SYSTEM
  ibrav = 0, nat = 9, ntyp = 3
/
ATOMIC_SPECIES
Ac 227.00 Ac.upf
Er 167.26 Er.upf
Ga 69.72 Ga.upf
CELL_PARAMETERS angstrom
4.3058 0.0000 0.0000
0.0000 6.4049 -3.6979
0.0000 0.0000 7.3958
ATOMIC_POSITIONS crystal
Ac 0.0000 0.0000 0.0000
Er 0.0000 0.3333 0.6667
Er 0.0000 0.6667 0.3333
Ga 0.5000 0.3379 0.3379
Ga 0.5000 0.6621 0.6621
Ga 0.5000 0.0000 0.6621
Ga 0.5000 0.6621 0.0000
Ga 0.5000 0.3379 0.0000
Ga 0.5000 0.0000 0.3379

Energy ordering: 2 at the bottom, the next structure 7.6 kJ/mol of atoms above.

--- 1 ---
! AcEr2Ge, optimized geometry, DFT PBE; values from VASP
! DOS at the Fermi energy   1.093 states/eV/atom
&SYSTEM
  ibrav = 0, nat = 4, ntyp = 3
/
ATOMIC_SPECIES
Ac 227.00 Ac.upf
Ge 72.64 Ge.upf
Er 167.26 Er.upf
CELL_PARAMETERS angstrom
4.0592 0.0000 0.0000
2.0296 3.5154 0.0000
2.0296 1.1718 9.3692
ATOMIC_POSITIONS crystal
Ac 0.5000 0.5000 0.5000
Ge 0.0000 0.0000 0.0000
Er 0.2776 0.2776 0.1671
Er 0.7224 0.7224 0.8329
=====

Have you tried connecting a monitor to watch the boot process and capture any errors?

@MaxK: When I connect the HA Green to a monitor, I get the CLI start-up screen which reports “Waiting for Supervisor to startup…” There is no boot activity. My OS is shown to be 11.4 and the HA Core is 2024.7.4. The start-up screen confirms the IP address for the device which is reported in my routers’ dashboards, so no mis-match there.

The current version is 12.4. If you are on 11.4 I would recommend upgrading by doing the following command at the CLI:

ha supervisor update


ha host reboot

@MaxK: There was an OS update available but the highest rev available via the CLI was 11.5. The OS update was successful, as was the host reboot (and I followed up with “supervisor restart” just for good measure, which was also successful) but I’m still stuck with my initial state: I can see HA in my network, I can ping it, I can connect to HA Observer at /4357 (Supervisor:Connected / Supported:Supported / Healthy:Healthy) but I still can’t connect to /8123.

Bouncing around in the CLI and running as many “info” commands as I could, I did see one thing that jumped out at me - an error message that HA could not get “async_get_time_zone” from aiozoneinfo. Would this prevent me from being able to connect to HA? Or does it just reflect that I haven’t been able to configure HA yet with my current time zone?

Can you post the output / take a screen shot of:

=====
1.
The following is a DFT calculation (PBE-GGA) of a geometry-optimized Ce2BeGaPd6 structure.

a b c (Å): 9.9835 5.8355 7.1417
angles (deg): 90.00 116.12 90.00
Space group C2/m (No. 12)
Unique sites:
Ce 0.2489 0.0000 0.1989 [4 per cell]
Be 0.0000 0.0000 0.5000 [2 per cell]
Ga 0.0000 0.5000 0.0000 [2 per cell]
Pd 0.0475 0.2605 0.3216 [8 per cell]
Pd 0.2272 0.0000 0.7391 [4 per cell]

E_form	-0.63	eV per atom


2.
The following is a DFT calculation (PBE-GGA) of a geometry-optimized CaMg2Te structure.

a b c (Å): 4.1559 4.1559 25.7445
angles (deg): 90.00 90.00 120.00
Space group R3m (No. 160, hexagonal axes)
Unique sites:
Ca 0.0000 0.0000 0.0000 [3 per cell]
Mg 0.0000 0.0000 0.2307 [3 per cell]
Mg 0.0000 0.0000 0.4771 [3 per cell]
Te 0.0000 0.0000 0.7451 [3 per cell]

raw formation energy	-0.3895	eV per atom


3.
The following is a DFT calculation (PBE-GGA) of a geometry-optimized Pm3Mn5Se12 structure.

a b c (Å): 15.8688 15.8688 15.8688
angles (deg): 90.00 90.00 90.00
Space group Ia-3d (No. 230)
Unique sites:
Pm 0.0000 0.2500 0.1250 [24 per cell]
Mn 0.0000 0.0000 0.0000 [16 per cell]
Mn 0.0000 0.2500 0.3750 [24 per cell]
Se 0.0270 0.0576 0.6478 [96 per cell]

raw formation energy	-0.9235	eV per atom


First-principles (GGA-PBE) data for crystalline TlAs6Pd12 at its relaxed geometry, as listed in the Alexandria database.

Lattice parameters (Å, degrees): 11.7855 11.7855 8.4949 90.00 90.00 120.00
Space group R-3m (No. 166, hexagonal axes)
One atom of each set of equivalent atoms:
Tl: 0.0000 0.0000 0.0000
As: 0.0462 0.5231 0.2710
Pd: 0.0000 0.3755 0.5000
Pd: 0.0849 0.1698 0.3372

Summary:
VASP energy in eV per formula unit: -97.90
Magnetization in μB per cell: 0.0
Formation energy from the elements in meV/atom: -280


8
Lattice="-1.552 2.045 -3.263 -4.009 1.080 -0.058 1.491 13.807 5.301" Properties=species:S:1:pos:R:3 comment="LiPrSeBr | the Alexandria database | PBE-GGA | relaxed" dos_ef_per_ev_cell=4.1 formation_energy_uncorrected_ev_per_atom=-1.525 spacegroup="No. 166" pbc="T T T"
Se -3.315 3.580 -1.463
Se -0.755 13.351 3.443
Li -2.428 15.080 2.681
Li -1.641 1.851 -0.701
Br -3.462 11.136 0.701
Br -0.608 5.795 1.279
Pr 0.671 10.676 3.729
Pr -4.740 6.256 -1.749


8
Lattice="4.368 0.000 0.000 2.184 3.783 0.000 2.184 1.261 14.941" Properties=species:S:1:pos:R:3 comment="LiPrTeBr | the Alexandria database | PBE-GGA | relaxed" dos_ef_per_ev_cell=4.3 formation_energy_uncorrected_ev_per_atom=-1.323 spacegroup="No. 166" pbc="T T T"
Br 6.552 3.783 13.118
Br 2.184 1.261 1.823
Te 6.552 3.783 5.582
Te 2.184 1.261 9.359
Li 2.184 1.261 6.486
Li 6.552 3.783 8.456
Pr 4.368 2.522 11.360
Pr 4.368 2.522 3.582


10
Lattice="-1.650 2.874 -6.612 -6.526 -1.472 -3.150 -5.363 5.797 -0.282" Properties=species:S:1:pos:R:3 comment="Li2PrTlBr6 | the Alexandria database | PBE-GGA | relaxed" dos_ef_per_ev_cell=0.0 formation_energy_uncorrected_ev_per_atom=-1.510 spacegroup="No. 146" pbc="T T T"
Br -3.938 2.743 -4.932
Br -7.524 0.773 -4.581
Br -6.379 6.206 -5.691
=====
The materials data stop here >

ha network info

/*
SrTi2Cu | GGA-PBE | relaxed

## Properties
E = -74.49 eV/cell
Space-group type = No. 122
Total moment = 0.000 μB/f.u.
ΔE_f = 736.5 meV/atom
Relative energy among the computed polymorphs = 0 meV/atom

abc: 4.4870 4.4870 20.1057
angles: 90.00 90.00 90.00
Closest atoms and distances in Å follow each position.
Positions (direct):
1 Sr 0.0000 0.0000 0.0000  4 Cu 3.17, 4 Ti 3.45
2 Sr 0.0000 0.5000 0.2500  4 Cu 3.17, 4 Ti 3.45
3 Sr 0.5000 0.0000 0.7500  4 Cu 3.17, 4 Ti 3.45
4 Sr 0.5000 0.5000 0.5000  4 Cu 3.17, 4 Ti 3.45
5 Ti 0.0352 0.7500 0.6250  2 Ti 2.27
6 Ti 0.2500 0.0352 0.3750  2 Ti 2.27
7 Ti 0.2500 0.4648 0.8750  2 Ti 2.27
8 Ti 0.4648 0.7500 0.1250  2 Ti 2.27
9 Ti 0.5352 0.2500 0.1250  2 Ti 2.27
10 Ti 0.7500 0.5352 0.8750  2 Ti 2.27
11 Ti 0.7500 0.9648 0.3750  2 Ti 2.27
12 Ti 0.9648 0.2500 0.6250  2 Ti 2.27
13 Cu 0.0000 0.0000 0.5000  4 Ti 2.76
14 Cu 0.0000 0.5000 0.7500  4 Ti 2.76
15 Cu 0.5000 0.0000 0.2500  4 Ti 2.76
16 Cu 0.5000 0.5000 0.0000  4 Ti 2.76

* * * * *

*w*
The following is a DFT calculation (SCAN) of BeMo2Pb at its PBEsol-relaxed geometry.

Cell: 3.185 4.548 5.099 Å, 101.04 90.02 110.32°
Fractional coordinates of all 4 atoms:
Be 0.000 0.000 0.000
Mo 0.465 0.930 0.365
Mo 0.745 0.489 0.183
Pb 0.236 0.473 0.699

Output
* mass density: 10.0 g cm⁻³

*x*
The following is a DFT calculation (SCAN) of BeMo2Pb at its PBEsol-relaxed geometry.

Cell: 4.873 4.873 2.978 Å, 90.00 90.00 114.67°
Fractional coordinates of all 4 atoms:
Be 0.000 0.000 0.000
Mo 0.000 0.500 0.500
Mo 0.500 0.000 0.500
Pb 0.500 0.500 0.000

Output
* mass density: 10.5 g cm⁻³

*y*
The following is a DFT calculation (SCAN) of BeMo2Pb at its PBEsol-relaxed geometry.

Cell: 5.201 5.201 2.857 Å, 100.19 100.19 117.09°
Fractional coordinates of all 4 atoms:
Be 0.000 0.000 0.000
Mo 0.000 0.500 0.500
Mo 0.500 0.000 0.500
Pb 0.500 0.500 0.000

Output
* mass density: 10.5 g cm⁻³

Of them, *x* has the lowest stability.

*w*
The following is a DFT calculation (SCAN) of Be2MoPt at its PBEsol-relaxed geometry.

Cell: 3.797 4.589 4.589 Å, 34.73 90.00 90.00°
Fractional coordinates of all 4 atoms:
Be 0.000 0.000 0.000
Be 0.500 0.147 0.147
Mo 0.000 0.728 0.728
Pt 0.500 0.427 0.427

Output
* mass density: 11.3 g cm⁻³

*x*
The following is a DFT calculation (SCAN) of Be2MoPt at its PBEsol-relaxed geometry.

Cell: 4.135 4.135 2.673 Å, 90.00 90.00 90.00°
Fractional coordinates of all 4 atoms:
Be 0.000 0.500 0.000
Be 0.500 0.000 0.000
Mo 0.000 0.000 0.500
Pt 0.500 0.500 0.500

Output
* mass density: 11.2 g cm⁻³

Of them, *x* has the lowest stability.

*w*
The following is a DFT calculation (SCAN) of ScBeMo3 at its PBEsol-relaxed geometry.

Cell: 4.496 4.496 4.496 Å, 90.00 90.00 90.00°
Fractional coordinates of all 5 atoms:
Sc 0.000 0.000 0.000
Be 0.500 0.500 0.500
Mo 0.000 0.000 0.500
Mo 0.000 0.500 0.000
Mo 0.500 0.000 0.000

Output
* mass density: 6.2 g cm⁻³

*x*
The following is a DFT calculation (SCAN) of ScBeMo3 at its PBEsol-relaxed geometry.
*/

@MaxK: First of all, thanks for taking so much time to help me drill down on this issue. Greatly appreciated!
The only HDMI monitor I have is a TV, so I can’t get logs or screen caps. I assume you wanted me to check network info to see if Supervisor has Internet access. After restarting the network via CLI, it does. Digging through the logs for network, supervisor and core, it seems my problem is that the core won’t start. I’ve updated the core to the latest version available to me, validated the instance using the check command, stopped it, then attempted start it again, resulting in an error message pointing me to the Supervisor logs, which keep giving me the error message related to “async_get_time_zone”.

Can you take a photo with your phone?

@tom_l: Thanks for jumping in here. I’ll try to get some clean shots. What command outputs do you want to see?

Problem solved by re-installing the OS, following the instructions at Resetting the device – Home Assistant Green.

Thanks to Brandon at ameriDroid for suggesting this approach!